[Work order]
What is needed: find the line underneath that holds "_cell_length_c 6.9218", then echo that line and all lines after it there.
[Contents]
____________
(1)
Diffraction record for Dy2ErMg3Tl2Hg. The powder diffractogram is calculated, not measured: it uses a PBE-relaxed structure and Cu Kα (λ = 1.5418 Å).
No peak broadening, texture or thermal motion is included.

Main lines, in order of falling intensity (2θ = 10–90°):
Position (°2θ)  I_rel
33.80  100
23.72  67
30.78  55
41.67  40
65.92  26
39.25  26
58.59  20
41.76  19

Structure:
```
data_Dy2ErMg3Tl2Hg
_cell_length_a 4.5911
_cell_length_b 12.9739
_cell_length_c 7.5181
_cell_angle_alpha 90.00
_cell_angle_beta 90.00
_cell_angle_gamma 90.00
_space_group_name_H-M_alt 'A m m 2'
_space_group_IT_number 38
loop_
_space_group_symop_operation_xyz
'x,y,z'
'-x,-y,z'
'-x,y,z'
'x,-y,z'
'x,y+1/2,z+1/2'
'-x,-y+1/2,z+1/2'
'-x,y+1/2,z+1/2'
'x,-y+1/2,z+1/2'
loop_
_atom_site_label
_atom_site_type_symbol
_atom_site_fract_x
_atom_site_fract_y
_atom_site_fract_z
_atom_site_occupancy
Dy1 Dy 0.0000 0.2106 0.0000 1
Er1 Er 0.0000 0.0000 0.6314 1
Mg1 Mg 0.5000 0.0000 0.9725 1
Mg2 Mg 0.5000 0.1194 0.3304 1
Tl1 Tl 0.5000 0.1659 0.7105 1
Hg1 Hg 0.0000 0.0000 0.2128 1
```

(2)
Diffraction record for BeBiSbMo. The powder diffractogram is calculated, not measured: it uses a PBE-relaxed structure and Cu Kα (λ = 1.5418 Å).
No peak broadening, texture or thermal motion is included.

Main lines, in order of falling intensity (2θ = 10–90°):
Position (°2θ)  I_rel
36.72  100
22.25  50
66.14  36
43.36  28
52.91  17
89.56  17
58.09  12
78.11  11

Structure:
```
data_BeBiSbMo
_cell_length_a 6.9218
_cell_length_b 6.9218
_cell_length_c 6.9218
_cell_angle_alpha 90.00
_cell_angle_beta 90.00
_cell_angle_gamma 90.00
_space_group_name_H-M_alt 'F -4 3 m'
_space_group_IT_number 216
_space_group_name_Hall 'F -4 2 3'
loop_
_atom_site_label
_atom_site_type_symbol
_atom_site_fract_x
_atom_site_fract_y
_atom_site_fract_z
_atom_site_occupancy
Be1 Be 0.0000 0.0000 0.0000 1
Bi1 Bi 0.0000 0.0000 0.5000 1
Sb1 Sb 0.2500 0.2500 0.2500 1
Mo1 Mo 0.2500 0.2500 0.7500 1
```

(3)
Diffraction record for MgCuIrS3. The powder diffractogram is calculated, not measured: it uses a PBE-relaxed structure and Cu Kα (λ = 1.5418 Å).
No peak broadening, texture or thermal motion is included.

Main lines, in order of falling intensity (2θ = 10–90°):
Position (°2θ)  I_rel
15.28  100
39.57  62
32.70  46
33.99  25
39.94  25
50.99  22
24.99  22
19.66  17

Structure:
```
data_MgCuIrS3
_cell_length_a 3.6066
_cell_length_b 11.5996
_cell_length_c 9.0295
_cell_angle_alpha 90.00
_cell_angle_beta 90.00
_cell_angle_gamma 90.00
_space_group_name_H-M_alt 'C m c m'
_space_group_IT_number 63
_space_group_name_Hall '-C 2c 2'
loop_
_atom_site_label
_atom_site_type_symbol
_atom_site_fract_x
_atom_site_fract_y
_atom_site_fract_z
_atom_site_occupancy
Mg1 Mg 0.0000 0.2460 0.2500 1
Cu1 Cu 0.0000 0.0492 0.7500 1
Ir1 Ir 0.0000 0.5000 0.0000 1
S1 S 0.0000 0.1392 0.5323 1
S2 S 0.0000 0.4135 0.7500 1
```

(4)
Diffraction record for Ga2Au3. The powder diffractogram is calculated, not measured: it uses a PBE-relaxed structure and Cu Kα (λ = 1.5418 Å).
No peak broadening, texture or thermal motion is included.

Main lines, in order of falling intensity (2θ = 10–90°):
Position (°2θ)  I_rel
39.45  100
28.08  70
41.59  35
48.95  28
40.89  23
43.07  22
44.49  21
24.39  19

Structure:
```
data_Ga2Au3
_cell_length_a 12.2166
_cell_length_b 3.7215
_cell_length_c 8.2220
_cell_angle_alpha 90.00
_cell_angle_beta 90.00
_cell_angle_gamma 90.00
_space_group_name_H-M_alt 'P n m a'
_space_group_IT_number 62
loop_
_space_group_symop_operation_xyz
'x,y,z'
'-x,-y,-z'
'-x+1/2,-y,z+1/2'
'x+1/2,y,-z+1/2'
'x+1/2,-y+1/2,-z+1/2'
'-x+1/2,y+1/2,z+1/2'
'-x,y+1/2,-z'
'x,-y+1/2,z'
loop_
_atom_site_label
_atom_site_type_symbol
_atom_site_fract_x
_atom_site_fract_y
_atom_site_fract_z
_atom_site_occupancy
Ga1 Ga 0.0128 0.2500 0.1471 1
Ga2 Ga 0.2356 0.7500 0.3685 1
Au1 Au 0.0174 0.7500 0.3752 1
Au2 Au 0.1577 0.7500 0.0558 1
Au3 Au 0.1706 0.7500 0.6776 1
```

(5)
____________
[Outcome]
_cell_length_c 6.9218
_cell_angle_alpha 90.00
_cell_angle_beta 90.00
_cell_angle_gamma 90.00
_space_group_name_H-M_alt 'F -4 3 m'
_space_group_IT_number 216
_space_group_name_Hall 'F -4 2 3'
loop_
_atom_site_label
_atom_site_type_symbol
_atom_site_fract_x
_atom_site_fract_y
_atom_site_fract_z
_atom_site_occupancy
Be1 Be 0.0000 0.0000 0.0000 1
Bi1 Bi 0.0000 0.0000 0.5000 1
Sb1 Sb 0.2500 0.2500 0.2500 1
Mo1 Mo 0.2500 0.2500 0.7500 1
```

(3)
Diffraction record for MgCuIrS3. The powder diffractogram is calculated, not measured: it uses a PBE-relaxed structure and Cu Kα (λ = 1.5418 Å).
No peak broadening, texture or thermal motion is included.

Main lines, in order of falling intensity (2θ = 10–90°):
Position (°2θ)  I_rel
15.28  100
39.57  62
32.70  46
33.99  25
39.94  25
50.99  22
24.99  22
19.66  17

Structure:
```
data_MgCuIrS3
_cell_length_a 3.6066
_cell_length_b 11.5996
_cell_length_c 9.0295
_cell_angle_alpha 90.00
_cell_angle_beta 90.00
_cell_angle_gamma 90.00
_space_group_name_H-M_alt 'C m c m'
_space_group_IT_number 63
_space_group_name_Hall '-C 2c 2'
loop_
_atom_site_label
_atom_site_type_symbol
_atom_site_fract_x
_atom_site_fract_y
_atom_site_fract_z
_atom_site_occupancy
Mg1 Mg 0.0000 0.2460 0.2500 1
Cu1 Cu 0.0000 0.0492 0.7500 1
Ir1 Ir 0.0000 0.5000 0.0000 1
S1 S 0.0000 0.1392 0.5323 1
S2 S 0.0000 0.4135 0.7500 1
```

(4)
Diffraction record for Ga2Au3. The powder diffractogram is calculated, not measured: it uses a PBE-relaxed structure and Cu Kα (λ = 1.5418 Å).
No peak broadening, texture or thermal motion is included.

Main lines, in order of falling intensity (2θ = 10–90°):
Position (°2θ)  I_rel
39.45  100
28.08  70
41.59  35
48.95  28
40.89  23
43.07  22
44.49  21
24.39  19

Structure:
```
data_Ga2Au3
_cell_length_a 12.2166
_cell_length_b 3.7215
_cell_length_c 8.2220
_cell_angle_alpha 90.00
_cell_angle_beta 90.00
_cell_angle_gamma 90.00
_space_group_name_H-M_alt 'P n m a'
_space_group_IT_number 62
loop_
_space_group_symop_operation_xyz
'x,y,z'
'-x,-y,-z'
'-x+1/2,-y,z+1/2'
'x+1/2,y,-z+1/2'
'x+1/2,-y+1/2,-z+1/2'
'-x+1/2,y+1/2,z+1/2'
'-x,y+1/2,-z'
'x,-y+1/2,z'
loop_
_atom_site_label
_atom_site_type_symbol
_atom_site_fract_x
_atom_site_fract_y
_atom_site_fract_z
_atom_site_occupancy
Ga1 Ga 0.0128 0.2500 0.1471 1
Ga2 Ga 0.2356 0.7500 0.3685 1
Au1 Au 0.0174 0.7500 0.3752 1
Au2 Au 0.1577 0.7500 0.0558 1
Au3 Au 0.1706 0.7500 0.6776 1
```

(5)